Friday, December 12, 2008

Is he yours?

Booth: Caroline went through a lot of trouble to get you private visitation with your father and now you don't want it.
Bones: The Federal Detention facility already has visiting areas.
Booth: Yeah, behind two inch glass, I mean, now you'll be able to give your old man, you know, a hug. (He hugs her from the side as they are walking)
Bones: I didn't ask for special treatment, Booth.
Booth: That's because you don't have to, because you are special.

My arms and thighs are sore. As much as I’d like to claim that it was due to an activity which had elements of kinkiness and sexiness, I have to disappoint you. They are in pain as a result of me taking care of my director’s baby. She had nanny crisis and took her son to work as she couldn’t reschedule her meetings. The boy somehow clicked with me instantly and since I wasn’t that busy, I looked after him while my director attended her matter. He is HUGE for his age! When I whisked him off to my director’s room, a colleague of mine said how natural I was with the baby. I replied by saying, “I should as I have one myself.” My colleague had a blank face and he wasn’t the only one. My secretary later told that some people asked if I indeed have a child.

One of the things that my senior MD shared during my interview was how she managed to climb the corporate ladder and juggling her life as a mother. She kept them separate and information was shared on need to know basis. People should judge you by how you perform. At least you know that whatever rating you get, you are benchmarked against your peers and assumed to have similar circumstances.

Anyway, back to this other director. When she came back from her meetings, she poured her heart out and thanked me for managing her son well. It kept her mind at peace and she could focus on her tasks. I understand where she was coming from. At present, her partner is away on business trip and she just couldn’t imagine how I manage. I said I have the support from people around me; friends, nannies, etc. It felt weird to be comforting and advising your superiors when usually they are the ones who play that role.

So that was another highlight for the week, being the nanny while at work. *grins* Tho someone asked if he was my child and that my partner must be really white that the boy has no Asian looks at all. *LOL* Mini B wasn’t that pleased knowing I spent the day with him. “I thought I am your only baby”, she said.

Yet she keeps asking me for a baby. Hmmmm.....


Inah said...

hmmmm..another baby..hehehe..just like me..i like kids..seriously..

cant wait to have one ;)

enjoy ur weekend msB..and a big hug to mini B ;)

D said...

HAHAHA!! After the first sentence, I thought you did some serious physical exercises, like a 5 mile jog or a day at the gym kinda thing. Would not have guessed kinky sex! LOL

how old was the baby? you had to carry him most of the time??!! hope the director takes note of it, eh?!

Kak Teh said...

Ms B, when I was struggling and juggling with work at the BBC and trying to be a mother, I used to take my first born to work. My husband would take him back to his office when I went on air or we'd have a nanny waiting in my room. It worked. We even had a bouncer where he could jump up and down. It was hard wanting to work yet wanting to be a mother. And when we had a childminder, she was indeed a blessing.
Now I look back and think, how on earth did i manage those days?

ruby ahmad said...

Hi Ms B,

Me like D...he he. Thought you did some weight training or sumfin'..not taht kinky whatever..LOL! Notty notty!

Hey double whammy cute, jaga another baby, then lil Ms B jeles..alahai, nak tengok muka cute dia, dengan jelingan manja dia. Certainly that's a highlight indeed.

Ms B said...

inah dear,

mini B has been asking a new addition a long time ago. *rolling eyes*

hanging out with them and having one of our own are two different things my dear. anybody can be mothers/fathers but some dont even know how to be parents. they forget that children are our 'amanah'.

so take your time, live life, and when is your time to have one, just be ready.

ps: did u ask the tattoed guy name???? *grin*

Ms B said...

D darling,

must add some sugar in the posting to entertain my lovely ladies. *Winks* altho i must say i look fwd if it was a bloom or a pitt. *LOL* *naughty thoughts*

he's only 9 mths but OMG, he's like15kgs++! with a huge belly. but he's very good looking. his mom is pretty, must be from her genes. the best thing was, no one disturbed me truout the day.

Ms B said...

kak teh,

Thats how the director felt. Knowing i could manage her son meant a lot to her. Just as you, sometimes I look back and feel how much I am blessed to have these people.

And I remember what you told me before, rezeki orang lain. perhaps our rezeki comes in those forms? *smiles*

Ms B said...

HI Ruby,

Great minds think alike, or should I rephrase to great ladies? *winks* *LOL* fantasy is always good.

Ah, indeed with her jelingan manja. She keeps asking for a baby and when I told her I babysat one for the day, she got upset! *LOL*

### The piece is interrupted by records of crystals
<<<
For Nb6Al11Ir, a crystal structure in the Materials Project, relaxed with GGA-PBE gives the theoretical X-ray powder pattern in this record (Cu Ka).
Neutral-atom scattering factors, no anomalous dispersion.

Atomic structure:
a = 8.9547 Å, b = 8.9547 Å, c = 8.2250 Å
α = 90.00°, β = 90.00°, γ = 120.00°
Space group P6_3/mcm (No. 193)
Unique sites:
Nb1 0.0000 0.3399 0.0625 (multiplicity 12)
Al1 0.0000 0.1660 0.7500 (multiplicity 6)
Al2 0.1608 0.4909 0.7500 (multiplicity 12)
Al3 0.3333 0.6667 0.0000 (multiplicity 4)
Ir1 0.0000 0.0000 0.0000 (multiplicity 2)

The 6 most intense peaks (10 to 80 degrees two-theta), in order of rising 2θ:
index	2θ (°)	I_rel
1 0 0	11.41	46
0 0 2	21.61	28
3 0 0	34.70	83
1 1 3	38.50	66
3 0 2	41.25	100
2 2 1	41.82	29

For CaNd3, a crystal structure in the Materials Project, relaxed with GGA-PBE gives the theoretical X-ray powder pattern in this record (Cu Ka).
Neutral-atom scattering factors, no anomalous dispersion.

Atomic structure:
a = 7.4835 Å, b = 7.4835 Å, c = 6.0119 Å
α = 90.00°, β = 90.00°, γ = 120.00°
Space group P6_3/mmc (No. 194)
Unique sites:
Ca1 0.3333 0.6667 0.2500 (multiplicity 2)
Nd1 0.1641 0.3281 0.7500 (multiplicity 6)

The 6 most intense peaks (10 to 80 degrees two-theta), in order of rising 2θ:
index	2θ (°)	I_rel
2 0 0	27.53	23
0 0 2	29.72	26
2 0 1	31.36	100
2 2 0	48.67	19
2 0 3	53.79	22
2 2 2	58.07	23

For SbCCl4O2, a crystal structure in the Materials Project, relaxed with GGA-PBE gives the theoretical X-ray powder pattern in this record (Cu Ka).
Neutral-atom scattering factors, no anomalous dispersion.

Atomic structure:
a = 7.1247 Å, b = 7.4333 Å, c = 16.6828 Å
α = 80.05°, β = 84.22°, γ = 82.96°
Space group P-1 (No. 2)
Unique sites:
Sb1 0.1632 0.2294 0.1250 (multiplicity 2)
Sb2 0.2824 0.2563 0.6137 (multiplicity 2)
C1 0.0572 0.4499 0.9669 (multiplicity 2)
C2 0.4149 0.5755 0.4993 (multiplicity 2)
Cl1 0.0294 0.6958 0.3294 (multiplicity 2)
Cl2 0.1043 0.9182 0.8873 (multiplicity 2)
Cl3 0.1104 0.2146 0.2659 (multiplicity 2)
Cl4 0.1895 0.1740 0.4945 (multiplicity 2)
Cl5 0.3759 0.9699 0.1107 (multiplicity 2)
Cl6 0.3799 0.9546 0.6708 (multiplicity 2)
Cl7 0.4043 0.4262 0.1139 (multiplicity 2)
Cl8 0.4089 0.3867 0.7131 (multiplicity 2)
O1 0.0334 0.5158 0.8930 (multiplicity 2)
O2 0.1678 0.3082 0.9907 (multiplicity 2)
O3 0.2658 0.5378 0.5439 (multiplicity 2)
O4 0.4356 0.7276 0.4536 (multiplicity 2)

The 6 most intense peaks (10 to 80 degrees two-theta), in order of rising 2θ:
index	2θ (°)	I_rel
0 1 2	14.91	100
1 0 2	15.91	59
1 1 0	16.53	54
1 0 -2	17.26	47
0 1 -2	17.57	51
1 -1 0	18.44	50

For Ag2Hg7P8Br6, a crystal structure in the Materials Project, relaxed with GGA-PBE gives the theoretical X-ray powder pattern in this record (Cu Ka).
Neutral-atom scattering factors, no anomalous dispersion.

Atomic structure:
a = 13.1193 Å, b = 11.1110 Å, c = 8.2772 Å
α = 90.00°, β = 101.47°, γ = 90.00°
Space group C2/m (No. 12)
Unique sites:
Ag1 0.2500 0.2500 0.0000 (multiplicity 4)
Hg1 0.0000 0.0000 0.5000 (multiplicity 2)
>>>
### Here the piece continues

Hazia said...

You must be managing very well singed-handedly if people at work didn't know that you have a child. None of the usual emergency leaves, late to work, etc ya?:)

n.i. said...

ms b,
all hot moms know how to juggle the task *wink* we ladies are multi-taskers (is there such a word?).. we can hardly find men who can multi-task as good as we do... kan?

hmmm... bila mini b nleh dapat adik? *wink*

Ms B said...

Hi Hazia,

It's all about proper planning and managing. It is common for mothers here to work part-time or leave on time. I'm lucky to have strong support and able to focus on my work. I had a few projects with this particular director and there were times that we worked til midnite.

As I said, keep them separate. *smiles*

Ms B said...

### Records of crystals that have nothing to do with the entry
┌──
No. 1
The following is a theoretical PXRD pattern of SrPuH8Pd2. It was derived from the PBE geometry in Alexandria, using λ = 1.5418 Å (Cu Kα).
Lines closer than 0.1° are merged.

Most intense lines, 2θ = 15–90°, in order of rising 2θ:
- hkl 1 0 1, 2θ = 22.1°, rel. 10.0
- hkl 1 0 4, 2θ = 28.4°, rel. 100.0
- hkl 1 1 0, 2θ = 38.0°, rel. 51.3
- hkl 1 0 7, 2θ = 38.9°, rel. 14.5
- hkl 1 1 3, 2θ = 40.5°, rel. 14.6
- hkl 0 1 8, 2θ = 43.0°, rel. 26.1
- hkl 0 2 4, 2θ = 48.1°, rel. 23.8
- hkl 0 0 12, 2θ = 56.3°, rel. 9.7
- hkl 2 0 8, 2θ = 58.7°, rel. 10.2
- hkl 2 1 4, 2θ = 62.8°, rel. 21.7
- hkl 1 1 12, 2θ = 70.0°, rel. 11.7
- hkl 1 2 8, 2θ = 72.1°, rel. 11.3

Structural model:
```
data_SrPuH8Pd2
_chemical_formula_sum 'Sr3 Pu3 H24 Pd6'
_cell_length_a 4.7399
_cell_length_b 4.7399
_cell_length_c 19.5911
_cell_angle_alpha 90.00
_cell_angle_beta 90.00
_cell_angle_gamma 120.00
_symmetry_space_group_name_H-M 'R -3 m'
_symmetry_Int_Tables_number 166
_symmetry_space_group_name_Hall '-R 3 2"'
loop_
_atom_site_label
_atom_site_fract_x
_atom_site_fract_y
_atom_site_fract_z
Sr1 0.0000 0.0000 0.0000
Pu1 0.0000 0.0000 0.5000
H1 0.0000 0.0000 0.1435
H2 0.0537 0.5268 0.0659
Pd1 0.0000 0.0000 0.2318
```



No. 2
The following is a theoretical PXRD pattern of Sm6Ho5Mg2. It was derived from the PBE geometry in Alexandria, using λ = 1.5418 Å (Cu Kα).
Lines closer than 0.1° are merged.

Most intense lines, 2θ = 15–90°, in order of rising 2θ:
- hkl 1 2 1, 2θ = 27.8°, rel. 37.9
- hkl 3 3 0, 2θ = 28.2°, rel. 96.1
- hkl 0 4 1, 2θ = 29.8°, rel. 86.2
- hkl 0 8 0, 2θ = 31.5°, rel. 97.5
- hkl 3 5 0, 2θ = 32.4°, rel. 100.0
- hkl 2 3 1, 2θ = 32.8°, rel. 75.9
- hkl 2 4 1, 2θ = 34.5°, rel. 34.2
- hkl 3 1 1, 2θ = 36.5°, rel. 46.2
- hkl 2 5 1, 2θ = 36.5°, rel. 40.8
- hkl 0 0 2, 2θ = 51.7°, rel. 53.2
- hkl 0 8 2, 2θ = 61.9°, rel. 31.8
- hkl 3 5 2, 2θ = 62.4°, rel. 30.8

Structural model:
```
data_Sm6Ho5Mg2
_chemical_formula_sum 'Sm12 Ho10 Mg4'
_cell_length_a 10.440
_cell_length_b 22.714
_cell_length_c 3.532
_cell_angle_alpha 90.00
_cell_angle_beta 90.00
_cell_angle_gamma 90.00
_symmetry_space_group_name_H-M 'P b a m'
_symmetry_Int_Tables_number 55
_symmetry_space_group_name_Hall '-P 2 2ab'
loop_
_atom_site_label
_atom_site_fract_x
_atom_site_fract_y
_atom_site_fract_z
Sm1 0.018 0.113 0.000
Sm2 0.145 0.383 0.000
Sm3 0.170 0.634 0.500
Ho1 0.000 0.500 0.500
Ho2 0.081 0.249 0.500
Ho3 0.166 0.994 0.500
Mg1 0.169 0.761 0.000
```



No. 3
The following is a theoretical PXRD pattern of Y4Ho5Tm. It was derived from the PBE geometry in Alexandria, using λ = 1.5418 Å (Cu Kα).
Lines closer than 0.1° are merged.

Most intense lines, 2θ = 15–90°, in order of rising 2θ:
- hkl 2 2 0, 2θ = 23.8°, rel. 16.2
- hkl 3 0 1, 2θ = 29.6°, rel. 100.0
- hkl 1 1 2, 2θ = 32.8°, rel. 11.8
- hkl 3 2 1, 2θ = 34.2°, rel. 15.8
- hkl 2 0 2, 2θ = 35.0°, rel. 34.4
- hkl 3 3 0, 2θ = 36.1°, rel. 46.2
- hkl 3 1 2, 2θ = 41.0°, rel. 17.7
- hkl 4 2 2, 2θ = 49.6°, rel. 11.6
- hkl 6 0 0, 2θ = 51.9°, rel. 13.4
└──
### Back to the entry


*LOL* U are definitely right dear. Multi taskers indeed, tho I need to check in the mirror whether I'm hot enough. *grins*

adik?? well, anytime. Just a visit to the clinic and choose a donor. *LOL* A good friend suggested this. At least I get to choose the baby's attributes. *grins*